File:
┌──
Entry 1:
{"formula": "C19H25FN4O2S", "method": "wB97M-V/def2-TZVPD", "elements": ["C", "H", "H", "H", "C", "N", "C", "N", "N", "C", "C", "N", "C", "C", "C", "C", "C", "C", "H", "H", "F", "H", "H", "H", "H", "H", "S", "C", "C", "O", "O", "C", "C", "C", "C", "C", "C", "H", "H", "H", "H", "H", "H", "H", "H", "H", "H", "H", "H", "H", "H", "H"], "xyz": [[3.6006, 0.9639, 2.0315], [3.2347, 1.5822, 2.8474], [3.9226, 1.6110, 1.2187], [4.4546, 0.3923, 2.3826], [2.5016, 0.0146, 1.5640], [1.3532, 0.7371, 1.0861], [0.3273, 1.2405, 1.8370], [-0.5306, 1.8740, 1.0861], [-0.0808, 1.8038, -0.1776], [1.0389, 1.1381, -0.1839], [1.8638, 0.8682, -1.3912], [1.2044, 1.4155, -2.5487], [1.8925, 1.8655, -3.6489], [3.1799, 1.4146, -3.9543], [3.8292, 1.8521, -5.0937], [3.1891, 2.7375, -5.9379], [1.9098, 3.1929, -5.6707], [1.2702, 2.7582, -4.5297], [0.2741, 3.1080, -4.3034], [1.4335, 3.8829, -6.3490], [3.8270, 3.1684, -7.0539], [4.8240, 1.5089, -5.3307], [3.6779, 0.7090, -3.3082], [0.3506, 1.9068, -2.3212], [2.0022, -0.2194, -1.5073], [2.8603, 1.3173, -1.2512], [0.2338, 1.0346, 3.5572], [-1.4879, 1.5398, 3.7808], [-2.4821, 0.5315, 3.2309], [-3.6665, 0.6388, 3.4012], [-1.8854, -0.4342, 2.5525], [-2.7122, -1.4100, 1.8987], [-3.0118, -2.5677, 2.8478], [-3.8173, -3.6403, 2.1211], [-3.0666, -4.1310, 0.8867], [-2.7672, -2.9669, -0.0537], [-1.9577, -1.8920, 0.6650], [-1.7668, -1.0451, 0.0031], [-0.9950, -2.2987, 0.9839], [-2.2126, -3.3210, -0.9244], [-3.7058, -2.5349, -0.4066], [-3.6619, -4.8832, 0.3663], [-2.1292, -4.5999, 1.1946], [-4.0093, -4.4735, 2.7991], [-4.7806, -3.2238, 1.8195], [-2.0666, -2.9849, 3.2037], [-3.5674, -2.1927, 3.7094], [-3.6495, -0.9185, 1.6101], [-1.6525, 1.6807, 4.8486], [-1.6309, 2.4870, 3.2581], [2.8636, -0.6258, 0.7555], [2.1749, -0.6124, 2.3990]], "forces_ev_per_angstrom": [[-0.1, -0.2, -0.1], [0.0, 0.1, 0.1], [0.0, 0.1, 0.0], [0.1, 0.0, 0.1], [0.5, 0.0, 0.2], [-0.8, 0.3, -0.2], [0.0, 0.1, -0.1], [-0.3, 0.0, 1.0], [0.4, -0.1, -1.1], [-0.1, 0.0, 0.1], [0.2, -0.2, -0.3], [-0.5, 0.0, 0.5], [0.3, 0.0, -0.4], [-0.2, 0.0, 0.2], [0.0, 0.3, -0.3], [0.0, -0.1, 0.1], [0.3, 0.0, -0.1], [0.1, -0.1, 0.1], [-0.1, 0.1, 0.0], [0.0, 0.1, -0.1], [0.0, 0.0, 0.0], [0.1, 0.0, 0.0], [0.0, -0.1, 0.1], [0.1, 0.0, 0.0], [0.1, 0.1, 0.1], [-0.1, -0.1, 0.0], [0.2, 0.2, 0.5], [0.3, -0.2, -0.3], [0.0, 0.3, 0.2], [-0.2, 0.0, 0.0], [0.1, -0.3, -0.1], [-0.2, -0.3, -0.1], [-0.2, 0.3, -0.1], [0.3, -0.1, 0.1], [-0.3, 0.1, -0.1], [0.2, -0.1, 0.1], [-0.2, 0.3, 0.1], [0.1, 0.0, 0.0], [0.1, 0.0, 0.0], [-0.1, 0.0, -0.1], [-0.1, 0.0, -0.1], [0.1, -0.1, 0.0], [0.1, -0.1, 0.0], [-0.1, 0.0, 0.0], [-0.1, 0.0, 0.0], [0.1, 0.0, 0.0], [0.1, 0.0, 0.0], [0.1, -0.1, 0.0], [0.0, 0.0, -0.1], [-0.1, -0.1, 0.1], [-0.1, 0.0, 0.1], [0.0, -0.1, -0.2]], "lowdin_charge": [-0.06, 0.07, 0.08, 0.08, -0.20, -0.02, -0.62, 0.04, 0.07, -0.29, -0.14, 0.02, -0.27, -0.03, -0.02, -0.29, -0.02, -0.02, 0.11, 0.12, 0.04, 0.12, 0.10, 0.11, 0.13, 0.13, 1.00, -0.33, -0.56, 0.12, -0.03, -0.30, -0.13, -0.19, -0.21, -0.19, -0.13, 0.12, 0.12, 0.11, 0.12, 0.11, 0.11, 0.11, 0.12, 0.13, 0.12, 0.16, 0.09, 0.09, 0.12, 0.11], "lumo_energy_ev": 0.424, "gap_ev": 8.2, "charge": 0, "relative_energy_kcal_mol": 0.0, "smiles": "CCn1c(CNc2ccc(F)cc2)nnc1SCC(=O)OC1CCCCC1", "total_energy_ha": -1606.5917, "homo_energy_ev": -7.81}


Entry 2:
└──
Job:
What is needed: duplicate all of the contents further above character by character.
Worked solution:
Entry 1:
{"formula": "C19H25FN4O2S", "method": "wB97M-V/def2-TZVPD", "elements": ["C", "H", "H", "H", "C", "N", "C", "N", "N", "C", "C", "N", "C", "C", "C", "C", "C", "C", "H", "H", "F", "H", "H", "H", "H", "H", "S", "C", "C", "O", "O", "C", "C", "C", "C", "C", "C", "H", "H", "H", "H", "H", "H", "H", "H", "H", "H", "H", "H", "H", "H", "H"], "xyz": [[3.6006, 0.9639, 2.0315], [3.2347, 1.5822, 2.8474], [3.9226, 1.6110, 1.2187], [4.4546, 0.3923, 2.3826], [2.5016, 0.0146, 1.5640], [1.3532, 0.7371, 1.0861], [0.3273, 1.2405, 1.8370], [-0.5306, 1.8740, 1.0861], [-0.0808, 1.8038, -0.1776], [1.0389, 1.1381, -0.1839], [1.8638, 0.8682, -1.3912], [1.2044, 1.4155, -2.5487], [1.8925, 1.8655, -3.6489], [3.1799, 1.4146, -3.9543], [3.8292, 1.8521, -5.0937], [3.1891, 2.7375, -5.9379], [1.9098, 3.1929, -5.6707], [1.2702, 2.7582, -4.5297], [0.2741, 3.1080, -4.3034], [1.4335, 3.8829, -6.3490], [3.8270, 3.1684, -7.0539], [4.8240, 1.5089, -5.3307], [3.6779, 0.7090, -3.3082], [0.3506, 1.9068, -2.3212], [2.0022, -0.2194, -1.5073], [2.8603, 1.3173, -1.2512], [0.2338, 1.0346, 3.5572], [-1.4879, 1.5398, 3.7808], [-2.4821, 0.5315, 3.2309], [-3.6665, 0.6388, 3.4012], [-1.8854, -0.4342, 2.5525], [-2.7122, -1.4100, 1.8987], [-3.0118, -2.5677, 2.8478], [-3.8173, -3.6403, 2.1211], [-3.0666, -4.1310, 0.8867], [-2.7672, -2.9669, -0.0537], [-1.9577, -1.8920, 0.6650], [-1.7668, -1.0451, 0.0031], [-0.9950, -2.2987, 0.9839], [-2.2126, -3.3210, -0.9244], [-3.7058, -2.5349, -0.4066], [-3.6619, -4.8832, 0.3663], [-2.1292, -4.5999, 1.1946], [-4.0093, -4.4735, 2.7991], [-4.7806, -3.2238, 1.8195], [-2.0666, -2.9849, 3.2037], [-3.5674, -2.1927, 3.7094], [-3.6495, -0.9185, 1.6101], [-1.6525, 1.6807, 4.8486], [-1.6309, 2.4870, 3.2581], [2.8636, -0.6258, 0.7555], [2.1749, -0.6124, 2.3990]], "forces_ev_per_angstrom": [[-0.1, -0.2, -0.1], [0.0, 0.1, 0.1], [0.0, 0.1, 0.0], [0.1, 0.0, 0.1], [0.5, 0.0, 0.2], [-0.8, 0.3, -0.2], [0.0, 0.1, -0.1], [-0.3, 0.0, 1.0], [0.4, -0.1, -1.1], [-0.1, 0.0, 0.1], [0.2, -0.2, -0.3], [-0.5, 0.0, 0.5], [0.3, 0.0, -0.4], [-0.2, 0.0, 0.2], [0.0, 0.3, -0.3], [0.0, -0.1, 0.1], [0.3, 0.0, -0.1], [0.1, -0.1, 0.1], [-0.1, 0.1, 0.0], [0.0, 0.1, -0.1], [0.0, 0.0, 0.0], [0.1, 0.0, 0.0], [0.0, -0.1, 0.1], [0.1, 0.0, 0.0], [0.1, 0.1, 0.1], [-0.1, -0.1, 0.0], [0.2, 0.2, 0.5], [0.3, -0.2, -0.3], [0.0, 0.3, 0.2], [-0.2, 0.0, 0.0], [0.1, -0.3, -0.1], [-0.2, -0.3, -0.1], [-0.2, 0.3, -0.1], [0.3, -0.1, 0.1], [-0.3, 0.1, -0.1], [0.2, -0.1, 0.1], [-0.2, 0.3, 0.1], [0.1, 0.0, 0.0], [0.1, 0.0, 0.0], [-0.1, 0.0, -0.1], [-0.1, 0.0, -0.1], [0.1, -0.1, 0.0], [0.1, -0.1, 0.0], [-0.1, 0.0, 0.0], [-0.1, 0.0, 0.0], [0.1, 0.0, 0.0], [0.1, 0.0, 0.0], [0.1, -0.1, 0.0], [0.0, 0.0, -0.1], [-0.1, -0.1, 0.1], [-0.1, 0.0, 0.1], [0.0, -0.1, -0.2]], "lowdin_charge": [-0.06, 0.07, 0.08, 0.08, -0.20, -0.02, -0.62, 0.04, 0.07, -0.29, -0.14, 0.02, -0.27, -0.03, -0.02, -0.29, -0.02, -0.02, 0.11, 0.12, 0.04, 0.12, 0.10, 0.11, 0.13, 0.13, 1.00, -0.33, -0.56, 0.12, -0.03, -0.30, -0.13, -0.19, -0.21, -0.19, -0.13, 0.12, 0.12, 0.11, 0.12, 0.11, 0.11, 0.11, 0.12, 0.13, 0.12, 0.16, 0.09, 0.09, 0.12, 0.11], "lumo_energy_ev": 0.424, "gap_ev": 8.2, "charge": 0, "relative_energy_kcal_mol": 0.0, "smiles": "CCn1c(CNc2ccc(F)cc2)nnc1SCC(=O)OC1CCCCC1", "total_energy_ha": -1606.5917, "homo_energy_ev": -7.81}


Entry 2: